Request:
The reader should set down the contents underneath with every line break kept.
Listing:
[1]
The following is a quantum chemistry calculation of C4H10N5O as an isolated structure, from the Open Molecules 2025 dataset.

Output
HOMO level = -12.26 eV
E_LUMO = -3.374 eV
Relative energy (zero: lowest compared OMol25 entry of this formula, charge and spin) = 32.27 kcal per mole

Structure (ORCA input):
```
! RIJCOSX wB97M-V def2-TZVPD def2/J DEFGRID3
* xyz 1 1
C 0.17 -1.70 -0.10
C -0.90 -0.91 0.22
C 1.63 0.20 -0.13
C -0.74 0.53 0.46
N 1.48 -1.14 -0.20
N 0.62 1.04 0.23
N -2.18 -1.32 0.12
N 2.89 0.71 -0.15
N -1.47 1.08 1.42
O -1.26 1.18 -1.25
H 0.32 -2.77 -0.32
H 2.28 -1.73 -0.22
H 0.75 1.99 -0.10
H -2.32 -2.33 0.29
H -2.74 -0.88 -0.55
H 3.62 0.07 -0.23
H 3.12 1.61 -0.47
H -1.47 2.10 1.49
H -2.16 0.47 1.88
H -0.91 0.64 -1.95
*
```

=====

[2]
The following is a quantum chemistry calculation of an isolated ion of composition C4H10NO and charge -1, from the Open Molecules 2025 dataset.

Output
HOMO level = -2.25 eV
E_LUMO = 3.991 eV
Relative energy (zero: lowest compared OMol25 entry of this formula, charge and spin) = 16.32 kcal per mole
Structure (SMILES) = CN[C@@H](C)C[O-]

Structure (ORCA input):
```
! RIJCOSX wB97M-V def2-TZVPD def2/J DEFGRID3
* xyz -1 1
C 1.92 -0.05 0.49
N 0.65 0.55 0.87
C -0.46 0.54 -0.16
C -0.18 -0.35 -1.36
C -1.78 0.13 0.54
O -2.90 0.38 -0.15
H 2.38 -0.36 1.44
H 2.61 0.65 0.02
H 1.82 -0.96 -0.11
H 0.28 0.02 1.66
H -0.50 1.59 -0.48
H -1.09 -0.34 -1.97
H 0.63 0.04 -1.97
H 0.02 -1.39 -1.11
H -1.57 -0.99 0.70
H -1.83 0.55 1.58
*
```

=====

[3]
The following is a quantum chemistry calculation of an isolated ion of composition C4H10NO and charge -1, from the Open Molecules 2025 dataset.

Output
HOMO level = -2.42 eV
E_LUMO = 4.328 eV
Relative energy (zero: lowest compared OMol25 entry of this formula, charge and spin) = 8.95 kcal per mole
Structure (SMILES) = CC(C)NC[O-]

Structure (ORCA input):
```
! RIJCOSX wB97M-V def2-TZVPD def2/J DEFGRID3
* xyz -1 1
C -1.42 -1.12 -0.16
C -0.11 -0.91 0.55
C -0.16 0.03 1.78
N 0.95 -0.54 -0.42
C 0.61 0.72 -1.23
O 0.32 1.81 -0.51
H -1.79 -0.15 -0.54
H -2.18 -1.46 0.57
H -1.42 -1.76 -1.05
H 0.20 -1.92 0.90
H -0.25 1.04 1.35
H 0.81 -0.05 2.27
H -0.97 -0.22 2.46
H 1.67 -0.17 0.20
H -0.25 0.32 -1.80
H 1.39 0.94 -1.99
*
```
Worked solution:
[1]
The following is a quantum chemistry calculation of C4H10N5O as an isolated structure, from the Open Molecules 2025 dataset.

Output
HOMO level = -12.26 eV
E_LUMO = -3.374 eV
Relative energy (zero: lowest compared OMol25 entry of this formula, charge and spin) = 32.27 kcal per mole

Structure (ORCA input):
```
! RIJCOSX wB97M-V def2-TZVPD def2/J DEFGRID3
* xyz 1 1
C 0.17 -1.70 -0.10
C -0.90 -0.91 0.22
C 1.63 0.20 -0.13
C -0.74 0.53 0.46
N 1.48 -1.14 -0.20
N 0.62 1.04 0.23
N -2.18 -1.32 0.12
N 2.89 0.71 -0.15
N -1.47 1.08 1.42
O -1.26 1.18 -1.25
H 0.32 -2.77 -0.32
H 2.28 -1.73 -0.22
H 0.75 1.99 -0.10
H -2.32 -2.33 0.29
H -2.74 -0.88 -0.55
H 3.62 0.07 -0.23
H 3.12 1.61 -0.47
H -1.47 2.10 1.49
H -2.16 0.47 1.88
H -0.91 0.64 -1.95
*
```

=====

[2]
The following is a quantum chemistry calculation of an isolated ion of composition C4H10NO and charge -1, from the Open Molecules 2025 dataset.

Output
HOMO level = -2.25 eV
E_LUMO = 3.991 eV
Relative energy (zero: lowest compared OMol25 entry of this formula, charge and spin) = 16.32 kcal per mole
Structure (SMILES) = CN[C@@H](C)C[O-]

Structure (ORCA input):
```
! RIJCOSX wB97M-V def2-TZVPD def2/J DEFGRID3
* xyz -1 1
C 1.92 -0.05 0.49
N 0.65 0.55 0.87
C -0.46 0.54 -0.16
C -0.18 -0.35 -1.36
C -1.78 0.13 0.54
O -2.90 0.38 -0.15
H 2.38 -0.36 1.44
H 2.61 0.65 0.02
H 1.82 -0.96 -0.11
H 0.28 0.02 1.66
H -0.50 1.59 -0.48
H -1.09 -0.34 -1.97
H 0.63 0.04 -1.97
H 0.02 -1.39 -1.11
H -1.57 -0.99 0.70
H -1.83 0.55 1.58
*
```

=====

[3]
The following is a quantum chemistry calculation of an isolated ion of composition C4H10NO and charge -1, from the Open Molecules 2025 dataset.

Output
HOMO level = -2.42 eV
E_LUMO = 4.328 eV
Relative energy (zero: lowest compared OMol25 entry of this formula, charge and spin) = 8.95 kcal per mole
Structure (SMILES) = CC(C)NC[O-]

Structure (ORCA input):
```
! RIJCOSX wB97M-V def2-TZVPD def2/J DEFGRID3
* xyz -1 1
C -1.42 -1.12 -0.16
C -0.11 -0.91 0.55
C -0.16 0.03 1.78
N 0.95 -0.54 -0.42
C 0.61 0.72 -1.23
O 0.32 1.81 -0.51
H -1.79 -0.15 -0.54
H -2.18 -1.46 0.57
H -1.42 -1.76 -1.05
H 0.20 -1.92 0.90
H -0.25 1.04 1.35
H 0.81 -0.05 2.27
H -0.97 -0.22 2.46
H 1.67 -0.17 0.20
H -0.25 0.32 -1.80
H 1.39 0.94 -1.99
*
```